Most of us move many times throughout our entire lives. So often I hear people say “We aren’t going to live here for long so I’m not going to get too settled”. While I understand the sentiment of that, I also think it’s important to create a home you love and want to spend time in.
I’ve lived in 10+ different home – between childhood houses, dorm rooms, apartments and my current home. And I can truly say that each one of these felt like home to me.
Maybe it’s just my personality (I’m an enneagram 4 😉), but my home environment is incredibly significant to my overall happiness.
Not in the sense that I need things to be brand new, expensive or perfect. Not at all.
But in the sense that my home is my safe space – emotionally, physically, spiritually. I need my physical space to reflect that.
I do not feel safe, relaxed, productive or happy in a space that is chaotic, messy, disorganized, or just not ME.
I promise it does not take a lot of money to create a home you love. Just a little bit of time, intentionality and dedication.
We purchased our 1960s home 2.5 years ago and have made it a place we love to spend time without spending a lot of money! You can read more about that here!
Someone pasted calculated crystals at this point >
This entry pairs a crystal structure of K3Na3CrF8 with its calculated powder X-ray diffraction pattern. Radiation: Cu Kα (weighted mean of Kα1 and Kα2). Structure: DFT lattice parameters and positions (PBE+U).
Peak positions follow from Bragg's law for the DFT cell and can differ from measured ones.

Peak list (12 most intense, 10° ≤ 2θ ≤ 80°, by intensity)
2θ (°), I/Imax
35.77, 100
36.15, 45
15.52, 44
50.48, 39
53.06, 26
15.64, 22
52.46, 17
29.57, 13
65.36, 12
29.80, 9
31.33, 9
14.66, 8

Atomic structure:
```
data_K3Na3CrF8
_symmetry_space_group_name_H-M 'P 1'
_symmetry_Int_Tables_number 1
_cell_length_a 6.9046
_cell_length_b 6.9046
_cell_length_c 7.2438
_cell_angle_alpha 118.43
_cell_angle_beta 118.43
_cell_angle_gamma 60.70
loop_
_symmetry_equiv_pos_as_xyz
'x,y,z'
loop_
_atom_site_label
_atom_site_type_symbol
_atom_site_fract_x
_atom_site_fract_y
_atom_site_fract_z
K1 K 0.0000 0.0000 0.0000
K2 K 0.0000 0.5000 0.0000
K3 K 0.5000 0.0000 0.0000
Na1 Na 0.0000 0.5000 0.5000
Na2 Na 0.5000 0.0000 0.5000
Na3 Na 0.5000 0.5000 0.5000
Cr1 Cr 0.0000 0.0000 0.5000
F1 F 0.2048 0.2048 0.6876
F2 F 0.2209 0.7573 0.6996
F3 F 0.2427 0.7791 0.3004
F4 F 0.2610 0.2610 0.2844
F5 F 0.7390 0.7390 0.7156
F6 F 0.7573 0.2209 0.6996
F7 F 0.7791 0.2427 0.3004
F8 F 0.7952 0.7952 0.3124
```
The best place to start with this process is by decluttering the excess. Get rid of the things that are stopping you from loving your home.
If you don’t know where to start with decluttering, I have lots of posts to get you started!
Decluttering your home doesn’t mean you have to be a hard-core minimalist. It also doesn’t mean you have to get rid of things you love.
Decluttering your home and getting rid of the things you don’t use, love or need actually allows you to enjoy the things that you DO love even more.
I always recommend decluttering first, followed by organizing.
In my personal experience, if you try to organize a closet/cupboard/drawer that has too much in it – it never lasts.
You don’t have to have to have a walk-in Pinterest worthy Pantry in order to create a home you love. You most definitely do not need to spend a lot of money on organization to have an orderly home.
But ensuring that everything has a designated home is a game-changer!
- Declutter first. Then organize. Organized junk is still junk.
- Use what you have to organize. Shoeboxes and mismatched baskets work just as well to contain items if you’re on a budget!
- Figure out what storage containers you need before purchasing random bins! Purchase containers with specific purposes in mind.
- Measure your space for storage containers.
- Make sure family members know where items are located (especially if you moved them)
- Reevaluate often. If a closet continues to become a mess, figure out what isn’t working and change your system!
Part of creating a home you love is learning how to keep it tidy. I don’t know anyone who enjoys being in a messy home.
And I say learning because I do believe this is something that many of us have to learn! If you’re not a naturally tidy person, the good news is you can teach yourself to be!
Keeping a tidy home doesn’t mean that your home never gets messy, or that you can’t use your home for LIFE.
Our homes are meant to be lived in. They are going to get messy, likely every day!
But establishing a simple cleaning routine can make all the difference.
You can find my daily routine to keep a clean home here!
I swear by the idea of “putting your kitchen to bed”. In other words, spending 10-20 minutes every night tidying the kitchen, putting away leftovers, doing the dishes, wiping the counters, etc.
This allows me to wake up the following morning and start a new day with a clean kitchen, which basically ensures that I have a good morning!
The last step to create a home you love is to make it cozy!
This is going to look different for everyone. What feels cozy + homey to me is going to different for you!
I love applying the Scandinavian practice of Hygge in my home! Warm lights, soft textiles, yummy food all equal a cozy home for me.
Some ways to make your space feel more cozy:
- Hang artwork on the walls
- Incorporate personal photos. Whether they’re family photos, vacation shots, or wedding photos. Having your own photos throughout your home really makes the space feel like yours!
- Houseplants. I couldn’t imagine my house without houseplants! These beginner plants are perfect even if you have a black thumb.
- Soft lighting. Candles, fireplace (faux or real!), lamps, twinkle lights.
- Blankets + pillows.
I hope this encouraged you to create a home you love!